Create a Player Health Status Indicator for the Unity GUI, part 2
Posted on Oct 16, 2012 (last modified Jun 1, 2021)
This is the second of a multi-part series that will teach you how to build a player health status indicator for the Unity GUI.
In the first part of this series, we provided the assets and a few tips for getting results fast. If you haven’t already, you should read Part 1 and also download the starter assets.
In today’s post, we’ll examine the Javascript that can be applied to any Unity GameObject to create the Health Status Indicator in your game’s GUI. The goal for today’s post is to learn how the script works and to hopefully learn a little bit about Javascript programming in Unity.
You’ve got an awesome game to make, so let’s get on with it…
First, let’s review
Our Javascript for the Health Status Indicator is very simple at this point, but it’s going to get a bit more complex. For that reason, it’s very important that you learn about this in phases. Let’s start by taking a look at the full script so that we have the whole thing in mind and then we’ll break it down line by line.
#pragma strict
// JavaScript
var backgroundTexture : Texture;
var foregroundTexture : Texture;
var frameTexture : Texture;
var healthWidth: int = 199;
var healthHeight: int = 30;
var healthMarginLeft: int = 41;
var healthMarginTop: int = 38;
var frameWidth : int = 266;
var frameHeight: int = 65;
var frameMarginLeft : int = 10;
var frameMarginTop: int = 10;
function OnGUI () {
GUI.DrawTexture( Rect(frameMarginLeft,frameMarginTop, frameMarginLeft + frameWidth, frameMarginTop + frameHeight), backgroundTexture, ScaleMode.ScaleToFit, true, 0 );
GUI.DrawTexture( Rect(healthMarginLeft,healthMarginTop,healthWidth + healthMarginLeft, healthHeight), foregroundTexture, ScaleMode.ScaleAndCrop, true, 0 );
GUI.DrawTexture( Rect(frameMarginLeft,frameMarginTop, frameMarginLeft + frameWidth,frameMarginTop + frameHeight), frameTexture, ScaleMode.ScaleToFit, true, 0 );
UnityScript is very much, but not exactly like JavaScript
Before we get too far into this, you should be aware that the script language in Unity is very often referred to as ‘JavaScript’. It is also called UnityScript and while it is very much like JavaScript, it does have some differences.
If you are familiar with JavaScript for the Web, but not UnityScript, then you may want to read UnityScript versus JavaScript in the UnifyWiki. If you’re starting to learn programming by using Unity, then don’t worry about it. Programming concepts are similar across all languages and by learning any one language, you’ll be better prepared to learn another.
Use #pragma strict
The first line in our program, #pragma strict, is very important to understand because it relates to performance and performance is extremely important in games. As a general rule, you should put that line atop all of your Javascript files in Unity, even though it isn’t required. Here’s why:
When you create a variable in most programming languages, you need to tell the compiler what kind of object or datatype the variable represents. Is it a string? A number? A texture? The compiler usually needs to know. But in JavaScript, you do not have to specify the type of a variable. When you must specify the type of a variable, it is known as strict typing. When you do not have to specify the type of variable it is known as dynamic typing because the type is figured out dynamically at runtime.
Dynamically typed variable declaration
var healthWidth = 199;
Statically typed variable declaration
var healthWidth: int = 199;
See the difference there? In the dynamically typed example, the variable healthWidth is a number, but it could also be used for a string or a boolean or some other type because we didn’t specify the type. In the statically typed example, we declared the variable as an int (a.k.a. an integer, which is just simple kind of number).
The problem with using dynamically typed variable declarations is that you’re forcing the compiler to make additional calculations while your game is running. The engine has to ask questions. Does this work as a string? Nope. Let’s try a boolean. Nope. An int? All this additional evaluation takes time, which can reduce the performance of your game.
By using #pragma strict
at the top of a script, we are telling Unity to disable dynamic typing in that script, which forces us to declare the type of each variable we create. If a type is not known, Unity will then report compile errors. This will not only improve the performance of your game, it will also make you a better programmer. So, as a rule of thumb, just do it.
Comments in your code
The second line of our script starts with two forward-slashes, which indicates that it’s just a comment.
// JavaScript
A comment is just a note inside of your program that helps you and other developers understand something. Humans can read comments in the code, but the engine will just ignore them. In this case, we’re just throwing in a note that the format of the script is JavaScript and not some other language that Unity also supports such as C#.
Two forward slashes are for single-line comments. If you want to have multiple lines of commentary in a single block, you can use the following:
/* This is an example
of a multi-line comment.
Are we having fun yet? */
Global variables and the Unity Inspector
The next three lines of the code define three global variables, each of the type Texture.
var backgroundTexture : Texture;
var foregroundTexture : Texture;
var frameTexture : Texture;
Global variables are usually declared at the very top of a script and not inside of any function. This makes them available for access from anywhere in the script. Where a variable is available for access is known as the variable’s scope, so variables outside of any function are said to have global scope.
You see, if a variable is declared first inside of a function you can’t get to it from any place outside of that function. Such a variable is said to be scoped to the function or private to the function.
Globally scoped variables show up in the Inspector panel as values that can be populated or modified without changing the script’s code. In the image below, you can see that all of the global variables in our script at right are also exposed in the Unity Inspector panel at left.
Our Health Status Indicator has already shown us two reasons why this is valuable. First, we are able to drag and drop our own textures into the Inspector slots created by the variables backgroundTexture, foregroundTexture, and frameTexture. That makes our script reusable and easy to customize. That is to say, you can reuse it for more than one game without changing any code. All you need to do is provide your own images to the widget by dragging and dropping them onto their respective slots in the inspector.
Second, we are able to drag left and right on the healthWidth slot in the Inspector while the game is running and when we do this, we can see the green health status bar reducing or increasing in size. So, the Inspector allows us to manipulate the values of global variables at runtime. Very cool!
Texture image size settings
The next two lines in our script specify the default width and the height of the green health bar image.
var healthWidth: int = 199;
var healthHeight: int = 30;
Later in the script, we use these numbers to establish a size for the rectangle that we render the texture on. We got those pixel dimensions from the drawing program we used when we saved the file. When a file is an image, you can usually get its dimensions just by inspecting the properties of the file. In Windows, you can right-click, select Properties from the context menu, and then select the Details tab of the resulting dialog. On a Mac, you can right-click and select Get Info.
Remember, the reason why we made the image width and height into global variables is so that our script becomes more generic and reusable. You probably want to create your own graphics for the widget, for example. You may wish to have the widget be a different size also. What we’re trying to do, therefore, is to make these things easier to customize without enforcing any knowledge of the underlying code.
Positioning textures on the screen
The next two lines of code specify the distance from the left and top of the screen where the green health bar’s rectangular texture should begin.
var healthMarginLeft: int = 41;
var healthMarginTop: int = 38;
We will use the healthMarginLeft variable to specify the horizontal position (from the left of the screen) where the texture’s rectangle will begin. And Similarly, we’ll use the healthMarginTop to specify the vertical position from the top of the screen.
In computer graphics, we often refer to the horizontal axis as x and the vertical axis as y. The top-most and left-most position on the screen is expressed as position (0,0) in (x,y).
So, if our variables define x and y coordinates, it could be expressed like this: (healthMarginLeft,healthMarginTop). The point (41,38) is where the top-most and left-most corner of our texture will be placed. So, it will have a left margin (a distance to the far-left hand side of the screen) of 41 pixels. And it will have a top-margin of 38 pixels.
But keep in mind that we haven’t drawn anything yet. We are only setting up the variables that we will use to size and position our textures a little later.
The next four lines are very similar to the last four we’ve looked at. They do the same thing, but they define a width, height, and margins for the background texture and top frame texture.
var frameWidth : int = 266;
var frameHeight: int = 65;
var frameMarginLeft : int = 10;
var frameMarginTop: int = 10;
To keep things as simple as possible, we cropped the background layer and the top-most layer images exactly the same size. That way, we can use the same dimensions and margins to position and render those two layers. The green health bar was an exception, which we cropped uniquely because it has to shrink or stretch to represent losing or gaining health.
The OnGui() function
The next stanza in the code is where the GUI functionality is really pulled together. When a script contains the OnGUI() function and is enabled in the game, it gets called every frame just like the Update() function.
function OnGUI () {
It is within this function that we create the GUI controls that will be seen on the screen. Which brings us to the first line of code within the function – the creation of a GUI texture. Think of a GUI texture as a 2D image that is parallel to the screen facing the user.
GUI.DrawTexture( Rect(frameMarginLeft,frameMarginTop, frameMarginLeft + frameWidth, frameMarginTop + frameHeight), backgroundTexture, ScaleMode.ScaleToFit, true, 0 );
This method can be understood by looking at the documentation in the Unity API. Take a moment now to review the API documentation for the GUI.DrawTexture function in the Unity API documentation.
API is an acronym for Application Programmer’s Interface; it’s the official documentation for a software development system. Each development language or system usually has a standard set of documents that comprise the API. Learning how to read and understand the API documentation for your platform is critical to your success as a developer!
For now, we’re going to try to explain very briefly how to understand this function’s documentation. Let’s break it down…
static function DrawTexture (position, image, scaleMode, alphaBlend, imageAspect) : void
Everything within the parenthesis represent values that you pass into the function when you call it. Below, we provide the type of each value and a description.
- position is of the type Rect. In API documentation, that’s usually stated as position : Rect (the variable, a colon, and then the type; it means ‘this function expects a position to be passed in when you call it and the position needs to be a Rect’). The position : Rect, in this case, is the rectangle within the screen to draw the texture in.
- image is of the type Texture (image : Texture), which is the texture to display within the given Rect.
- scaleMode is one of either of the following constants: ScaleMode.StretchToFill, ScaleMode.ScaleAndCrop, or ScaleMode.ScaleToFit. This defines how to scale the image when the aspect ratio of it doesn’t fit the aspect ratio to be drawn within. That is to say – when the proportional relationship between the image’s width and height does not match that of the rectangle that you’re drawing it within.
- alphaBlend is of type boolean, which means either true or false. If the image has alpha blend information, then you can set this to true so that the image will blend with the background using the alpha information in the image. If the image has no alpha information, then we could set this to false.
- imageAspect is of type float, which means a floating point number (basically, a decimal number). If you pass in 0 (the default), the aspect ratio from the image is used. Pass in w/h for the desired aspect ratio. This allows the aspect ratio of the source image to be adjusted without changing the pixel width and height.
Drawing the first layer of the health status indicator
So, now that we kind of understand how the GUI.DrawTexture() function works, let’s take another look at the line we use to draw the first layer (the red that shows through when the green health bar is shrunk).
GUI.DrawTexture( Rect(frameMarginLeft,frameMarginTop, frameMarginLeft + frameWidth, frameMarginTop + frameHeight), backgroundTexture, ScaleMode.ScaleToFit, true, 0 );
Let’s break it down a little. Starting with the function call itself:
GUI is an object that Unity engine makes available to us. We know this because it’s documented in the API. The object has several functions that you could call from it using the dot notation. If you type the word GUI in the Unity editor and then a period character, the code completer should show a pop-up menu of the functions that are available on that object.
TIP: You can jump quickly to the API from within the MonoDevelop editor by selecting the menu Help > Unity API Reference.
The next thing that is passed into the function is the Rect which defines the position and size of the rectangle on the screen.
Rect(frameMarginLeft,frameMarginTop, frameMarginLeft + frameWidth, frameMarginTop + frameHeight)
To construct a Rect object we can use Rect(left, top, width, height). Instead of hard-coding values, we put variables in those spots. But notice that when we define the width and height, we add the margin. Since the rectangle will start after the margin, then we must increase the size of the rectangle by the amount of the margin.
Anyway, the statement then continues with…
, backgroundTexture, ScaleMode.ScaleToFit, true, 0 );
The backgroundTexture is a reference to the image that you drag and drop into the variable’s slot in the Inspector when using the script. The meaning of the rest of the values has already been described above.
The last two GUI.DrawTexture lines are for the middle layer and the foreground layer. The bottom layer and top layer are defined the same except for their texture. So, let’s just focus now on that middle layer – the green health status bar.
Entry 1:
{"formula": "C3H6N2O2S", "method": "ωB97M-V with the def2-TZVPD basis set", "homo_energy_ev": 1.9, "orbital_gap_ha": 0.144, "charge": -2, "total_energy_ev": -21114.088, "relative_energy_kj_mol": 81.3, "lumo_ev": 5.868, "species": ["C", "C", "C", "N", "N", "O", "O", "S", "H", "H", "H", "H", "H", "H"], "xyz": [[-0.54217, -1.12529, 0.61416], [0.91797, 0.84197, 1.13204], [0.42210, -0.00748, 0.00371], [-1.07205, -0.02298, -1.88379], [-0.46305, 0.83734, -0.88221], [0.11984, 1.96594, -1.38702], [-1.57637, -0.80077, 1.22907], [0.02610, -2.72021, 0.42837], [0.13638, 1.19724, 1.77432], [1.56224, 0.12728, 1.78255], [1.55328, 1.70420, 0.93694], [1.31240, -0.67537, -0.30614], [-0.46535, -0.84281, -2.13571], [-1.93130, -0.47908, -1.30628]], "forces_ev_per_a": [[-0.5, 1.3, 0.9], [1.8, -1.2, 2.0], [-1.1, -0.3, -0.1], [-2.2, -1.5, 1.2], [0.7, -0.9, 0.8], [0.4, -0.4, -0.4], [1.0, -0.2, -0.7], [0.2, -1.1, -0.1], [-0.8, 0.1, 0.2], [-0.8, 1.0, -0.7], [0.0, -0.1, -0.8], [-1.0, 1.3, -0.9], [-0.3, 0.7, 0.4], [2.6, 1.2, -1.8]]}

=====

Entry 2:
So much for the records of molecules >
There’s something special about it…
Drawing the middle layer (the green bar)
GUI.DrawTexture( Rect(healthMarginLeft,healthMarginTop,healthWidth + healthMarginLeft, healthHeight), foregroundTexture, ScaleMode.ScaleAndCrop, true, 0 );
Notice that the ScaleMode used in the DrawTexture function is different than what’s defined for the bottom and top layers. That’s because the size of the green bar in the middle layer is going to change size as the game is played. If the ScaleMode is not set just so, the texture will do some strange things when sized.
You’ve finished the second in a multi-part series. This post was focused on teaching you how our script works as well as a little bit about programming.
In Part 3, we’ll learn how to reduce or increase health through code while the game is running.